
Creating Snippets of ViewPage ServerSide Code

Hi again, I am working on an ASP.NET MVC Project and I have a number of node snippets that I need to insert into multiple pages. I would very much like to know whether or not it is possible to have a snippet of code that can be placed in an external file and called from within a ViewPage. In a way this would be similar to calling a class...

What is the design motive behind extension methods in C#

I was wondering what is the design motive behind extension methods in C# ...

Wrong App.config being loaded

Hi all, I have a .NET 3.5 class library I built that reads an App.config file for values it needs. It can pull the config values just fine when I test it in Visual Studio. To test it, I just change the project to a console application and execute a method call. I have the need to call this class library from many other .NET programs,...

I need to change the style and control use of the asp:Login control button

Is it possible to get the source and code behind of the control so I can manipulate it myself? That way I can keep using the Membership and have the ease of functionality, but can use my own controls. I'm sure there is an easy solution to this. Thanks. ...

## Attached: records of molecules
{
  "formula": "C25H48Cl3N4O3SScSi",
  "method": "ωB97M-V/def2-TZVPD",
  "e_tot_ev": -115789.707,
  "fmax_ev_per_a": 3.24,
  "e_above_lowest_kcal_mol": 155.7,
  "symbols": ["C", "C", "H", "H", "H", "C", "C", "H", "H", "H", "H", "Sc", "Cl", "Cl", "H", "H", "C", "C", "N", "H", "C", "O", "H", "H", "H", "H", "H", "H", "C", "C", "N", "H", "C", "O", "H", "H", "H", "H", "O", "C", "C", "C", "H", "C", "H", "C", "H", "C", "C", "H", "H", "H", "Si", "Cl", "C", "C", "C", "H", "H", "H", "H", "H", "H", "H", "H", "H", "C", "N", "C", "C", "S", "N", "C", "C", "H", "H", "H", "H", "H", "H", "H", "H", "H", "H", "H", "H"],
  "coordinates": [[-1.880, -2.437, -5.131], [-1.221, -2.862, -3.803], [-2.397, -3.270, -5.635], [-1.143, -2.045, -5.849], [-2.592, -1.623, -4.945], [-0.599, -4.124, -3.772], [-0.127, -4.914, -4.945], [-0.455, -4.652, -2.837], [0.590, -4.361, -5.586], [-0.885, -5.336, -5.643], [0.437, -5.771, -4.551], [0.835, 1.814, 0.199], [-1.621, 1.987, 0.102], [1.749, 3.914, -0.375], [1.654, 5.795, 3.621], [-0.440, 6.600, 3.325], [1.557, 4.877, 3.042], [-0.606, 5.909, 2.495], [0.126, 4.690, 2.792], [1.972, 4.027, 3.602], [-0.314, 3.509, 2.399], [0.493, 2.567, 2.144], [-1.677, 5.699, 2.377], [-1.415, 3.371, 2.313], [2.095, 5.010, 2.103], [-0.205, 6.372, 1.581], [2.223, -0.691, -3.563], [2.373, -3.417, -2.164], [3.123, -0.732, -2.922], [3.151, -2.840, -1.645], [2.852, -1.411, -1.652], [3.510, 0.274, -2.728], [2.367, -0.870, -0.526], [2.436, 0.346, -0.140], [3.217, -3.182, -0.609], [1.855, -1.631, 0.107], [3.880, -1.337, -3.438], [4.108, -2.988, -2.150], [-0.615, -1.585, -3.185], [-1.683, -2.165, -2.435], [-0.232, -3.463, -0.739], [-1.441, -2.820, -1.079], [0.536, -3.523, -1.503], [0.026, -3.962, 0.561], [-2.578, -1.518, -2.538], [-2.438, -2.875, -0.058], [1.028, -4.321, 0.815], [-0.948, -3.933, 1.555], [-2.178, -3.383, 1.224], [-3.424, -2.466, -0.248], [-0.747, -4.276, 2.587], [-2.932, -3.305, 2.009], [-0.421, 2.319, -3.620], [0.614, 1.015, -2.004], [1.004, 3.331, -4.355], [-1.268, 3.609, -2.524], [-1.568, 1.464, -4.766], [1.810, 3.504, -3.611], [0.576, 4.310, -4.618], [1.438, 2.919, -5.281], [-1.059, 0.930, -5.575], [-2.166, 2.264, -5.237], [-2.278, 0.811, -4.252], [-2.151, 3.223, -1.967], [-1.574, 4.510, -3.112], [-0.545, 3.983, -1.765], [2.172, -0.894, 3.186], [0.969, -0.311, 3.789], [1.221, 0.825, 4.681], [-0.185, -0.357, 3.058], [-0.129, -0.774, 1.405], [-1.348, 0.008, 3.645], [-1.526, 0.082, 5.087], [-2.569, 0.012, 2.853], [2.962, -0.900, 3.948], [2.523, -0.320, 2.311], [1.954, -1.919, 2.862], [0.573, 1.679, 4.439], [1.079, 0.514, 5.727], [2.264, 1.146, 4.556], [-2.594, -0.062, 5.287], [-0.956, -0.691, 5.612], [-1.268, 1.079, 5.474], [-2.422, 0.630, 1.961], [-2.848, -1.005, 2.549], [-3.370, 0.446, 3.458]],

Factory Model in C#

I have a bunch of MDI child nodes that are all created in the same way and to reduce redundant code I'd like to be able to call a method, pass it a string (name of child node), have it create the node and add it to the parent. I can do all the stuff except create the class from a string of a class name, how can I do this? ...

Linq - what locale/collation it uses to compare objects?

When I call a Linq (not Linq-for-SQL, just simple in-memory Linq) - what locale it uses to compare objects, and how can I affect it? E.g. string[] a = { "a", "b", ... }; string max = a.Max(); What locale is used here - current, invariant? How can I affect it? The comparision seems to be case-insensitive, what if I want to find case...

How do I get the actual value of a DependancyProperty?

I have a small UserControl and it needs to know the Background Brush of the control on which it's being rendered. However, if I look in the Background property of the UserControl it comes back null. If I call GetValue(UserControl.BackgroundProperty) it also returns null even though up the Visual tree it is definitely being set. Seems...

z-Order of application windows - WPF

Is there a way to find out the z-order of all active windows in my application (application.current.windows) or any other way to find out what is the "parent" window of a modal window? I am trying to implement a "shader" functionality, that should fade the parent window when a modal window is shown. (the only way I have found so far i...

LinqToSQL Select and SelectMany vs Join

Are Select and SelectMany preferrable to Joins? The reason I'm wondering is because I use LinqPad and in one section there are comments that say: // Note: before delving into this section, make sure you've read the preceding two // sections: Select and SelectMany. The Join operators are actually unnecessary // in LINQ to SQL, and the e...

Distributing WPF apps to a legacy user base: How seamless is it?

I'm considering developing a WPF application, to be hosted by a legacy Windows app (C++), and I'm trying to get a better sense of how feasible it'll be to do so, given the broad user base I'm targeting. Knowing WPF targets .NET 3.5, I'm looking for some insight as to what the field looks like right now -- who's already got the runtime, ...

Using ASP.NET Forms Authentication, how do I get an image to appear on the login screen?

I am doing simple forms authentication for a small ASP.NET (3.5, C#) application and setting up my usernames and passwords in the web.config. I would like to apply the default stylesheet and include the header graphic (included on every other page) but the graphic and stylesheet won't apply, presumably because the anonymous user doesn't...

How do you stop windows from resizing and moving your window?

When I try to move my window(with a mouse) above my screen so that the title bar would be hidden windows will move it back. And If I try to rezise the window larger then the screen space, windows will resize it back to "fit" the screen resolution. It seems that windows is sending a wm_move message if it does not like the size or positio...

Installer custom Actions

How to Delete all the Folders Created by the Application in the Application Start Up Path (Program Files) at the Unistall. ...

What's the best way to call INotifyPropertyChanged's PropertyChanged event ?

When you implement the INotifyPropertyChanged interface, you're responsible for calling the PropertyChanged event each and everytime a property is updated in the class. This typically leads to the following code : public class MyClass: INotifyPropertyChanged private bool myfield; public bool MyField { ...

How can I get data from a list with a where clause to another list?

Hi, I have a list with multiple class that contain a Property that is an Integer (Id). I have a List of Integer too. Now, I would like to trim the List of my object to only those class that has the Property in the list of the integer. Example: List of MyObject [MyObjectA].Id = 1 [MyObjectB].Id = 2 [MyObjectC].Id = 3 [MyObjectD].Id ...

Linq Distinct on a particular Property

Hello, I am playing with Linq to learn about it but I can't figure out how to Distinct when I do not have a simple list (a simple list of integer is pretty easy to do, this is not the question). What if want to distinct a list of Object on ONE or MORE Properties of the object? Example: If an object is "Person", with Property "Id". How ...

ASP Required permissions cannot be acquired.

Hi, I'm developing an ASP.NET WebSite and I get an Exception Required permissions cannot be acquired. ... Is there a way to find out which permission(s) are missing? Kind regards christian I know the assembly that causes the exception, but I don't know which permission it requires. ...

import csv file/excel into sql database asp.net

Hi everyone! I am starting a project with asp.net visual studio 2008 / SQL 2000 (2005 in future) using c#. The tricky part for me is that the existing DB schema changes often and the import files columns will all have to me matched up with the existing db schema since they may not be one to one match on column names. (There is a lookup ...

Custom HTTP Basic Authentication for ASP.NET Web Services on .NET 3.5/VS 2008

I am refactoring a working ASP.NET Web Application to expose Web Services interface using ASP.NET Web Service. According to Web Services authentication - best practices, Basic Auth over https is the way to go. Let's assume it is, as opposed to doing WS-Security, X509, etc.. On .NET 3.5/VS 2008, what's the simplest way of implementing cu...

Could not find assembly System.ServiceModel

I'm deploying a webpart on sharepoint and getting some errors. The webpart consumes data from a Web Service and displays a chart using Microsoft Chart (Framework 3.5). When I try to acces it, I get the folowing error: Could not load file or assembly 'System.ServiceModel, Version=, Culture=neutral, PublicKeyToken=b77a5c561934e0...